cplug- Recompile and run partially applied C functions in Haskell, during runtime

Safe HaskellNone




class Resolvable a r | a -> r where Source

This class is of functions with type a and final return type r. Additionally, r should be of the form: Wrapped a b


resolve :: a -> r Source

resolve resolves a "Resolvable a r" to r


Resolvable a r => Resolvable (t -> a) r Source 
Resolvable (Wrapped a b) (Wrapped a b) Source 

class Compilable a r b s | a -> r, b -> s, a s -> b, r b -> a where Source


($$$) :: (r -> s) -> a -> b infixr 2 Source

`($$$) f wrappedFunction` essentially applies f directly to the Wrapped part of wrappedFunction.


Compilable a r b s => Compilable (t -> a) r (t -> b) s Source 
Compilable (Wrapped a b) (Wrapped a b) (Wrapped c d) (Wrapped c d) Source 

($$) :: Compilable a1 (Wrapped (t -> a) b) t1 (Wrapped a b) => (t -> a1) -> t -> t1 infixl 1 Source

Given a simple Compilable function:

   plus :: Int -> Int -> Wrapped (Int -> Int -> Int) Int

You can use `($$)` to apply plus to both the outer (Int -> Int -> ..) and innner (Wrapped (Int -> ..)) functions of plus. For example:

>>> plus $$ 1 $$ 2
Wrap 3 3

class FixResolvable a r | a -> r where Source

# These data records were left in the entry by mistake
- - -
DFT (PBE+U) results for crystalline VHgO2 at its relaxed geometry.

Properties
Volume ... 148.26 Å³ per cell
VASP energy ... -46.08 eV per cell
Space group ... No. 227

```
VHgO2
1.0
5.940 0.000 0.000
0.000 5.940 0.000
2.970 2.970 4.201
Hg O V
2 4 2
direct
0.750 0.250 0.500
0.000 0.000 0.000
0.376 0.125 0.250
0.374 0.625 0.250
0.875 0.626 0.750
0.375 0.624 0.750
0.250 0.750 0.500
0.500 0.500 0.000
```
- - -


fixResolve :: a -> r Source


class FixCompilable a r b s | a -> r, b -> s, a s -> b, r b -> a where Source


(###) :: (r -> s) -> a -> b infixr 2 Source


FixCompilable a r b s => FixCompilable (Fix t -> a) r (Fix t -> b) s Source 
FixCompilable (Wrapped a b) (Wrapped a b) (Wrapped c d) (Wrapped c d) Source 

(##) :: FixCompilable a (Wrapped (r -> a1) b) (r -> r1) (Wrapped a1 b) => a -> r -> r1 Source

See `($$)`

apInOut :: Compilable a b b c => (b -> c) -> a -> c Source

Apply a function to a Compilable from the outside (just regular application) and also inside (`($$$)`)

fixApInOut :: FixCompilable a b b c => (b -> c) -> a -> c Source

flipC :: Compilable a1 (a -> b -> c) c (b -> a -> c) => (a -> b -> a1) -> b -> a -> c Source

Flip a compilable function

fixFlipC :: FixCompilable a (a1 -> b -> c) (a1 -> b -> c) (b -> a1 -> c) => a -> b -> a1 -> c Source

See flipC

replaceFW :: a -> Wrapped a b -> Wrapped a b Source

compile :: (Compilable a1 (Wrapped a b) r (Wrapped a b), Resolvable a1 (Wrapped a b1)) => a1 -> r Source

Compile a compilable function, essentially by resolving to the wrapped function and return value, unwrapping the non-compilable function (i.e. getting the compiled version), and replacing the original non-compilable function.

fixCompile :: (Compilable a1 (Wrapped a b) r (Wrapped a b), Resolvable a1 (Wrapped a b1)) => a1 -> r Source